
Unpacking the Decision: Why Businesses Choose Outsourcing Over Traditional Models

### Next to the text, the page also holds records of crystals
- - -
Entry 1:
Calculated powder XRD pattern
Compound: Cs2PdICl3
Radiation: copper Kα
Structure: a DFT-relaxed cell (GGA-PBE, OQMD)
Peak positions follow from Bragg's law for the DFT cell and can differ from measured ones.

The 10 most intense peaks (10° ≤ 2θ ≤ 90°), low angle first:
(0 1 1), 2θ 11.58, I 49; (0 0 2), 2θ 17.39, I 28; (1 1 1), 2θ 21.81, I 41; (1 2 0), 2θ 24.06, I 100; (1 0 2), 2θ 25.44, I 34; (1 2 2), 2θ 29.84, I 72; (0 4 0), 2θ 30.96, I 34; (0 0 4), 2θ 35.21, I 38; (2 0 0), 2θ 37.35, I 27; (1 2 4), 2θ 43.10, I 40

Crystal structure
```
data_Cs2PdICl3
_cell_length_a 4.815
_cell_length_b 11.553
_cell_length_c 10.197
_cell_angle_alpha 90.00
_cell_angle_beta 90.00
_cell_angle_gamma 90.00
_symmetry_space_group_name_H-M 'A m m 2'
_symmetry_Int_Tables_number 38
_symmetry_space_group_name_Hall 'A 2 -2'
loop_
_atom_site_label
_atom_site_fract_x
_atom_site_fract_y
_atom_site_fract_z
Cs1 0.000 0.226 0.000
Pd1 0.500 0.000 0.743
I1 0.500 0.000 0.487
Cl1 0.500 0.000 0.976
Cl2 0.500 0.203 0.744
```

=====

Entry 2:
Calculated powder XRD pattern
Compound: Zr5Sn3
Radiation: copper Kα
Structure: a DFT-relaxed cell (GGA-PBE, OQMD)
Peak positions follow from Bragg's law for the DFT cell and can differ from measured ones.

The 10 most intense peaks (10° ≤ 2θ ≤ 90°), low angle first:
(0 0 2), 2θ 30.76, I 22; (2 1 0), 2θ 32.07, I 24; (2 1 1), 2θ 35.69, I 100; (3 0 0), 2θ 36.51, I 50; (1 1 2), 2θ 37.45, I 72; (3 1 1), 2θ 47.05, I 21; (2 2 2), 2θ 53.30, I 15; (2 1 3), 2θ 57.94, I 24; (5 0 2), 2θ 71.69, I 18; (3 0 4), 2θ 76.05, I 12

Crystal structure
```
data_Zr5Sn3
_cell_length_a 8.5252
_cell_length_b 8.5252
_cell_length_c 5.8138
_cell_angle_alpha 90.00
_cell_angle_beta 90.00
_cell_angle_gamma 120.00
_symmetry_space_group_name_H-M 'P 63/m c m'
_symmetry_Int_Tables_number 193
_symmetry_space_group_name_Hall '-P 6c 2'
loop_
_atom_site_label
_atom_site_fract_x
_atom_site_fract_y
_atom_site_fract_z
Zr1 0.0000 0.2465 0.2500
Zr2 0.3333 0.6667 0.0000
Sn1 0.0000 0.3922 0.7500
```

=====

Entry 3:
Calculated powder XRD pattern
Compound: Nd3IrO7
Radiation: copper Kα
Structure: a DFT-relaxed cell (GGA-PBE, OQMD)
Peak positions follow from Bragg's law for the DFT cell and can differ from measured ones.

The 10 most intense peaks (10° ≤ 2θ ≤ 90°), low angle first:
(1 1 2), 2θ 26.79, I 9; (1 2 -2), 2θ 28.96, I 100; (2 0 0), 2θ 29.07, I 29; (2 1 0), 2θ 31.46, I 9; (2 0 -4), 2θ 32.74, I 16; (1 2 2), 2θ 34.02, I 30; (3 2 -2), 2θ 47.93, I 30; (0 4 0), 2θ 48.72, I 12; (3 2 -6), 2θ 56.12, I 10; (2 4 0), 2θ 57.73, I 17

Crystal structure
```
data_Nd3IrO7
_cell_length_a 6.608
_cell_length_b 7.476
_cell_length_c 13.240
_cell_angle_alpha 90.00
_cell_angle_beta 111.62
_cell_angle_gamma 90.00
_symmetry_space_group_name_H-M 'P 1 21/c 1'
_symmetry_Int_Tables_number 14
_symmetry_space_group_name_Hall '-P 2ybc'
loop_
_atom_site_label
_atom_site_fract_x
_atom_site_fract_y
_atom_site_fract_z
Nd1 0.012 0.001 0.245
Nd2 0.087 0.247 0.015
Nd3 0.468 0.739 0.205
Ir1 0.500 0.000 0.000
- - -

“We’ve always done it this way” is widely known to be one of the most detrimental justifications for most practices. Traditional models, no matter how ingrained, should not only be regularly questioned and integrated, but replaced when a newer model offers benefits far outweighing past procedures.

In an age where business practices are becoming more fluid and flexible, and flexibility and cost-effectiveness are not only preferable but vital, outsourcing has become an extremely appealing alternative. Here, we take a look at the reasons why businesses are opting for outsourcing over traditional models and the advantages outsourcing can offer in 2024.

/*
Entry 1:
Diffraction record for TmMnAgCl6. The X-ray powder pattern is computed, not measured: it uses DFT lattice parameters and positions (PBE) and a wavelength of 1.5418 Å.

Top 8 peaks for 5 to 70 degrees two-theta, in order of rising 2θ:
hkl 1 0 1, 17.55°, intensity 20
hkl 1 0 2, 21.62°, intensity 100
hkl 1 1 0, 27.85°, intensity 27
hkl 1 1 2, 31.52°, intensity 32
hkl 2 0 2, 35.53°, intensity 27
hkl 1 1 4, 40.78°, intensity 70
hkl 2 1 2, 45.73°, intensity 27
hkl 3 0 0, 49.27°, intensity 28

Structural model:
```
data_TmMnAgCl6
_chemical_formula_sum 'Tm2 Mn2 Ag2 Cl12'
_symmetry_space_group_name_H-M 'P -3 1 c'
_symmetry_Int_Tables_number 163
_symmetry_space_group_name_Hall '-P 3 2c'
_cell_length_a 6.4072
_cell_length_b 6.4072
_cell_length_c 12.2383
_cell_angle_alpha 90.00
_cell_angle_beta 90.00
_cell_angle_gamma 120.00
loop_
_atom_site_label
_atom_site_fract_x
_atom_site_fract_y
_atom_site_fract_z
Tm1 0.3333 0.6667 0.2500
Mn1 0.3333 0.6667 0.7500
Ag1 0.0000 0.0000 0.0000
Cl1 0.0248 0.3656 0.6349
```

Entry 2:
Diffraction record for Li4ZrO4. The X-ray powder pattern is computed, not measured: it uses DFT lattice parameters and positions (PBE) and a wavelength of 1.5418 Å.

Top 8 peaks for 5 to 70 degrees two-theta, in order of rising 2θ:
hkl 1 1 0, 15.97°, intensity 42
hkl 1 1 1, 21.10°, intensity 100
hkl 2 0 0, 21.41°, intensity 43
hkl 0 2 1, 27.60°, intensity 72
hkl 1 1 2, 32.04°, intensity 44
hkl 2 2 0, 32.26°, intensity 30
hkl 2 2 1, 35.20°, intensity 41
hkl 3 1 1, 37.35°, intensity 31

Structural model:
```
data_Li4ZrO4
_chemical_formula_sum 'Li16 Zr4 O16'
_symmetry_space_group_name_H-M 'C m c m'
_symmetry_Int_Tables_number 63
_symmetry_space_group_name_Hall '-C 2c 2'
_cell_length_a 8.2994
_cell_length_b 7.4634
_cell_length_c 6.4652
_cell_angle_alpha 90.00
_cell_angle_beta 90.00
_cell_angle_gamma 90.00
loop_
_atom_site_label
_atom_site_fract_x
_atom_site_fract_y
_atom_site_fract_z
Li1 0.1426 0.2424 0.2500
Li2 0.1564 0.5000 0.0000
Zr1 0.0000 0.1535 0.7500
O1 0.0000 0.2975 0.0101
O2 0.2089 0.0179 0.7500
```

Entry 3:
Diffraction record for RbBeTlF6. The X-ray powder pattern is computed, not measured: it uses DFT lattice parameters and positions (PBE) and a wavelength of 1.5418 Å.

Top 8 peaks for 5 to 70 degrees two-theta, in order of rising 2θ:
hkl 0 0 1, 14.68°, intensity 26
hkl 1 0 0, 18.98°, intensity 29
hkl 1 0 1, 24.08°, intensity 100
hkl 1 1 0, 33.19°, intensity 21
hkl 2 0 1, 41.42°, intensity 24
hkl 2 -1 2, 45.07°, intensity 31
hkl 1 0 3, 49.32°, intensity 21
hkl 2 1 1, 54.08°, intensity 24

Structural model:
```
data_RbBeTlF6
_chemical_formula_sum 'Rb1 Be1 Tl1 F6'
_symmetry_space_group_name_H-M 'P 3 1 2'
_symmetry_Int_Tables_number 149
_cell_length_a 5.3985
_cell_length_b 5.3985
_cell_length_c 6.0338
_cell_angle_alpha 90.00
_cell_angle_beta 90.00
_cell_angle_gamma 120.00
loop_
_symmetry_equiv_pos_as_xyz
'x,y,z'
'-y,x-y,z'
'-x+y,-x,z'
'-y,-x,-z'
'-x+y,y,-z'
'x,x-y,-z'
loop_
_atom_site_label
_atom_site_fract_x
_atom_site_fract_y
*/

Outsourcing Vs Traditional Models in 2024

Cost Efficiency in Outsourcing


Any business looking to cut costs in 2024 should seriously explore the potential of outsourcing. Looking at cost saving alone, outsourcing presents an undeniably attractive package. By handing over tasks to external specialists, companies can significantly reduce labour expenses, often paying less for outsourced work than for in-house employees. As opposed to needing to train, hire and equip employees with the skill sets for these tasks, outsourcing provides a way to lean on the expertise of professionals well versed in these areas. Additionally, outsourcing can dramatically lower upfront overhead costs. With less need for office space, equipment, and utilities, these expenses can practically disappear overnight, leading to substantial savings which can be transferred to more vital business functions.

Of course, given their narrower focus, outsourcing firms also excel in their fields which means they are in the position to offer streamlined processes that enhance efficiency and speed up turnaround times. This can save businesses valuable time and effort that can otherwise be directed into more fruitful endeavors.


How Outsourcing affects Core Competencies


Facing an increasingly competitive market, businesses increasingly need to find ways to stay focused on their bigger picture goals without sacrificing too much time on their day-to-day procedures. Outsourcing is an excellent way to empower companies to do this by delegating non-essential tasks to specialized firms. This strategic division of labor allows any scale of business to optimise their resources, channeling their efforts into areas that can deliver the most value to customers and stakeholders alike.

Likewise, by entrusting non-core activities to external experts, companies gain access to the latest industry practices and technologies without heavy initial investments. This leads to increased efficiency and a sharper competitive edge in the market. Once the burden of these non-core functions are lifted, in-house staff can focus on refining and expanding the business in ways that align with bigger, long-term goals.


  • Access to Specialized Skills and Technology

A global talent pool available at your fingertips sounds too good to be true but outsourcing makes it possible to tap into top talent otherwise unavailable in-house. Rather than relying on pre-existing skills, this access to highly specialized and industry expertise has a direct impact on the quality of work that can be achieved as well as innovation. With some valuable distance, outsourcing partners tend to bring in fresh perspectives and ideas and often manage to revitalize teams. This collaboration spells a winning recipe for efficiency and retaining a competitive edge in the fast-paced business environment of 2024 and beyond.


Being able to adjust operations swiftly in response to market demands is a must in today’s ever-changing climate. Outsourcing provides businesses with significant flexibility, allowing them to increase or decrease their operations depending on the demand. This capacity for agility is achieved without the time intensive processes and legal entanglements often associated with hiring or laying off staff and the speed at which projects can be accomplished accelerates substantially.

When launching new products or services, agility is a key attribute that can spell success or failure. Bypassing the time-consuming processes that go hand in hand with traditional models, companies can leverage external expertise to stay ahead of the curve and respond quickly to fast changing environments and consumer demands.


  • Risk Management In Outsourcing

Risk management is an important but sometimes often-overlooked area that can significantly be impacted by outsourcing. As a direct approach to risk management outsourcing can be simultaneously strategic, effective and efficient. Outsourcing chosen tasks to specialists who possess the expertise and resources to handle them effectively not only spreads the risk – minimizing the fallout significantly if something should go awry – but also leverages the specialized skills that can mitigate potential issues more efficiently in the first place. A seasoned pro with years of expertise in a niche field is less likely to make mistakes than an in-house employee who is taking on a task that’s outside their specialty.

Moreover, don’t forget that outsourcing firms typically invest heavily in compliance and security infrastructure, which usually surpass the measures that any single company alone could justify. As a result, by using an outsourcing firm, businesses can benefit from the extra layer of protection, avoiding the potential for troublesome issues arising down the line.


  • Increasing Innovation and Competitive Advantage by Outsourcing

Outsourcing can also be a catalyst for innovation. By offering companies access to a global talent pool and cutting-edge processes that may not be available in-house and gaining specialized expertise, businesses can develop unique solutions that differentiate them in a vast and competitive market. Furthermore, the flexibility and cost-effectiveness of outsourcing allow companies to adapt quickly to market changes, maintaining a competitive stance in the dynamic global arena.


Why Businesses are Choosing Outsourcing in 2024


Ultimately, loyalty to traditional methods of handling business processes in 2024 isn’t just unwise, it’s costly. In a market that demands businesses juggle innovation with reliability, outsourcing offers an effective way to stay ahead of the curve. Speak with us today about building a global workforce from some of the world’s most talent-rich hubs.


Emapta is an Australian-owned and managed knowledge-based staffing platform operating across the Philippines, Colombia, Singapore, Sri Lanka, Malaysia, and Vietnam. For over a decade, we have helped companies resolve their pain points and adapt to ever-changing market needs by providing access to a wide range of talent in different industries.